1933 | 1934 | 1935 | 1936 | 1937 | 1938 | 1939 |
1940 | 1941 | 1942 | 1943 | 1944 | 1945
  January 30 - President Hindenburg appoints Adolf Hitler as Chancellor of Germany.
February 27 - Fire destroys Germany's Reichstag (parliament building).
February 28 - President Hindenberg issues decree giving Hitler emergency powers.
March 5 - Reichstag elections: Nazi Party wins 44% of the vote.
March 20 - Establishment of Dachau, first concentration camp; imprisonment of political opponents.
March 24 - Reichstag passes "Enabling Law" used to advance Nazi power.
April 1 - Nazis proclaim a one-day nation-wide boycott of Jewish-owned businesses.
April 7 - Jews dismissed from German civil service jobs, including teachers and professors; Jewish lawyers denied membership in the German Bar.
April 25 - New laws restrict number of Jews allowed to attend German public schools.
April 26 - Creation of the Gestapo (Geheime Staatspolizei - secret state police).
May 1 - Jews excluded from German Armed Forces; free trade unions dissolved.
May 10 - Public book burning.
July - Nazis authorize Kulturbund of German Jews (later called Jüdische Kulturbund - Jewish Culture Association), limited to Jewish artists and audiences.
July 20 - Concordat between the Vatican and the Third Reich is signed in Rome.
October 14 - Germany withdraws from the League of Nations.
November 12 - Reichstag elections; Nazis take 93% of the vote.
November 17 - United States officially recognizes the Soviet Union.
December 1 - Hitler declares German state and Nazi Party to be one and the same.
  January 26 - Germany signs ten-year non-aggression pact with Poland.
June 30 - "Night of the Long Knives": Hitler orders murder of key Nazi officials, particularly in SA (Sturm Abteilung - Stormtroopers), in a purge enabling him to solidify his power.
August 1 - As President Hindenburg lies dying, Reichstag combines powers of the office of President with that of Reich Chancellor Adolf Hitler.
August 2 - Death of President Hindenburg; Hitler declares himself Führer (leader) of Germany and Commander-in-Chief of the German Armed Forces; all German soldiers required to take personal oath of loyalty to Hitler.
October-November - First major arrests of homosexuals throughout Germany.

  March 16 - In violation of the Versailles Treaty, military conscription is introduced in Germany; no protest voiced by other powers.
April - Jehovah's Witnesses banned from German civil service jobs; many arrested throughout Germany.
April - Gestapo consolidates all Jewish cultural associations into Jüdische Kulturbund.
May - "Juden Verboten" ("Jews Prohibited") signs posted outside many German restaurants, shops, and towns and villages.
September 6 - Street sales of Jewish newspapers prohibited.
September 15 - Reichstag passes anti-Semitic "Nuremberg Laws" legally defining "Aryan" and "non-Aryan"; Jews deprived of German citizenship; Jews prohibited from displaying German flag in their homes and from employing German "Aryan" servants under age of 45; marriages between Jews and Germans forbidden.
  March 3 - Jewish doctors excluded from practicing medicine in German state institutions.
March 7 - In violation of Versailles Treaty, Nazi army enters Rhineland; no response from other powers.
July 12 - First arrests and deportation of German Gypsies to Dachau concentration camp.
Summer - Olympic games held in Berlin.
October 15 - German Ministry of Science and Education prohibits "non-Aryans" from teaching in public schools and bans private instruction by Jewish teachers.
October 25 - Hitler and Mussolini sign pact forming Rome-Berlin Axis.
  July 2 - Restrictions tightened on number of Jewish students allowed to attend German public schools.
July 16 - Establishment of Buchenwald concentration camp.
Summer - Nazis forbid Jüdische Kulturbund artists from performing works of composers born in Germany, including Beethoven, Bach, Brahms and Schumann.
September 7 - Hitler repudiates the Versailles Treaty.
November 16 - New restrictions prevent German Jews from obtaining passports to travel abroad except in special cases.
November 25 - Germany and Japan sign military pact.
  March 13 - Germany annexes Austria in the "Anschluss."
May 17 - Jews and "Mischlinge" (people of part-Jewish origin) were made separate categories in the German census.
April 26 - German Jews required to register all property valued over 500 Reichmarks.
June 12-18 - First wave of arrests of Austrian Gypsies; men sent to Dachau, Buchenwald, Sachsenhausen and Mauthausen; women to Lichtenburg.
June 15 - Arrest of any Jew in Germany with a previous conviction for any offense, including traffic violations.
July 6-15 - International conference in Evian, France: 32 countries prove unwilling to provide needed refuge for German Jews; most countries refuse to accept additional Jewish refugees.
July 25 - German Jewish doctors' licenses canceled; they may treat only Jewish patients.
July 27 - Street names of Jewish origin are changed.
September 29 - Chamberlain and Hitler sign Munich Agreement; France and Italy also sign; Sudetenland of Czechoslovakia is annexed by Germany.
October 5 - Passports of German Jews must be marked with the letter "J."
October 28 - Polish Jews living in Germany forcibly deported to Poland.
November 7 - Ernst vom Rath, third councilor of German embassy in Paris, is shot by Herschel Grynszpan, a Polish Jew from Germany.
November 9-10 - "Kristallnacht (Night of the Broken Glass)," a nation-wide pogrom; anti-Semitic riots throughout Germany and Austria; many Jews murdered; 200 synagogues destroyed by fire; 7,500 shops looted; 26,000 Jews sent to concentration camps.
November 11 - German Jews prohibited from owning or bearing arms.
November 12 - German Jews forced to pay 1.25 million Reichmarks for damages caused on Kristallnacht; one billion Reichmarks fine is levied on Jews of Germany; Jews can no longer attend public concerts, exhibitions, plays or movies.
November 15 - All Jewish children expelled from German public schools.
December 2-3 - Jews banned from German streets on certain days; Gypsies in Germany required to register with police.
December 3 - German Jews' drivers' licenses and car registrations confiscated.
December 6 - German Foreign Minister Ribbentrop signs non-aggression pact with France.
December 8 - Jews can no longer attend German universities.
December 13 - "Aryanization" decree expropriates Jewish industries, businesses and shops.
  January 1 - Jewish men in Germany required to add the middle name "Israel" to their names and Jewish women to add "Sara"; new-born German Jewish children must be named from an approved list of Jewish names; German Jews over 15 ordered to carry a special ID card at all times.
February 21 - Jews required to turn over all gold, platinum, silver, precious stones and pearls to Nazis.
March - Jews leaving Nazi Germany are prohibited from taking possessions they acquired after January 30, 1933; they are permitted to take only 10 marks.
March 15 - Nazi Germany invades and occupies Czechoslovakia without immediate response from other powers.
April 30 - German Jews lose all legal rights as renters; many are expelled from their homes.
May 15 - Ravensbruck concentration camp for women established.
June - Jewish refugees aboard the S.S. St. Louis denied entry to Cuba and the United States; forced to return to Europe.
June 5 - 2,000 Austrian Gypsy men above the age of 16 arrested and sent to Dachau and Buchenwald; 1,000 women above the age of 15 are sent to Ravensbruck.
July 26 - Adolf Eichmann placed in charge of Prague Central Office for Jewish Emigration.
August 23 - Soviet-German non-aggression pact signed by Stalin and Hitler.
September 1 - Germany invades Poland; World War II begins.
September 3 - Britain and France declare war on Germany.
September 3 - Jewish curfew and shopping restrictions imposed in Nazi Germany.
September 17 - Soviet Union invades eastern Poland.
September 21-Establishment of "self-governing" Judenräte Councils of Jews and concentration of Polish Jews in urban ghettos.
September 23 - German Jews forced to relinquish all radios, cameras, etc.; food rations reduced.
September 28 - Partition of Poland between Germany and USSR.
October - Hitler authorizes "euthanasia program" in Germany: doctors to kill institutionalized mentally and physically disabled.
October 12 - First deportation of Jews from Austria and Moravia to Poland.
November 23 - Jews throughout occupied Poland ordered to wear yellow Judenstern (Jewish star) on their chests or blue Judenstern armbands.
December 1 - Food rations for Jews further reduced in Germany.
  February 6 - Jews are no longer to be issued clothing or shoe ration cards.
February 8 - Lodz ghetto established.
April 9 - Nazi Germany invades Denmark and Norway: Denmark surrenders; Norway fights.
April 27 - Heinrich Himmler, head of SS (Schutzstaffel - Hitler's elite corps of Stormtroopers), orders construction of Auschwitz concentration camp in Poland; first prisoners, mostly Poles, arrive in early June.
April 30 - Lodz ghetto sealed: approximately 164,000 Polish Jews imprisoned.
May 10 - Nazi Germany invades Netherlands, Belgium and Luxembourg.
May 15 - Holland surrenders to Germany.
Data records that have nothing to do with the entry.
/*
# 1
Structure and calculated powder X-ray diffraction pattern of CeBePtC (a PBE-relaxed structure; CuKα).

Peak list (10 most intense, 10° ≤ 2θ ≤ 90°, most intense first)
2theta, Rel. int.
34.9, 100
10.8, 62
39.9, 59
32.9, 44
47.4, 36
58.9, 33
56.5, 33
25.7, 32
32.0, 25
21.8, 19

Structure:
```
CeBePtC
1.0
3.836 0.000 0.000
0.000 3.836 0.000
0.000 0.000 8.156
Ce Be Pt C
2 2 2 2
Direct
0.250 0.250 0.158
0.750 0.750 0.842
0.250 0.250 0.659
0.750 0.750 0.341
0.250 0.750 0.500
0.750 0.250 0.500
0.250 0.250 0.871
0.750 0.750 0.129
```

---

# 2
Structure and calculated powder X-ray diffraction pattern of ZrCu5 (a PBE-relaxed structure; CuKα).

Peak list (10 most intense, 10° ≤ 2θ ≤ 90°, most intense first)
2theta, Rel. int.
43.5, 100
45.5, 35
36.8, 33
70.9, 28
78.4, 23
66.3, 11
89.9, 5
53.1, 3
22.3, 2
25.8, 1

Structure:
```
ZrCu5
1.0
0.000 3.452 3.452
3.452 0.000 3.452
3.452 3.452 0.000
Zr Cu
1 5
Direct
0.000 0.000 0.000
0.376 0.376 0.376
0.376 0.376 0.873
0.376 0.873 0.376
0.750 0.750 0.750
0.873 0.376 0.376
```

---

# 3
Structure and calculated powder X-ray diffraction pattern of Er2Tm4H2Pb3 (a PBE-relaxed structure; CuKα).

Peak list (10 most intense, 10° ≤ 2θ ≤ 90°, most intense first)
2theta, Rel. int.
34.9, 100
38.6, 51
28.0, 35
67.5, 35
30.8, 19
55.8, 18
19.4, 16
31.8, 14
54.1, 13
28.9, 12

Structure:
```
Er2Tm4H2Pb3
1.0
-2.331 2.331 12.346
2.331 -2.331 12.346
2.331 2.331 -12.346
Er Tm H Pb
2 4 2 3
Direct
0.196 0.196 0.000
0.804 0.804 0.000
0.084 0.584 0.500
0.416 0.916 0.500
0.584 0.084 0.500
0.916 0.416 0.500
0.101 0.101 0.000
0.899 0.899 0.000
0.323 0.323 0.000
0.500 0.500 0.000
0.677 0.677 0.000
```

---

# 4
Structure and calculated powder X-ray diffraction pattern of Mg2Tl3Pb3 (a PBE-relaxed structure; CuKα).

Peak list (10 most intense, 10° ≤ 2θ ≤ 90°, most intense first)
2theta, Rel. int.
31.3, 100
32.7, 86
34.8, 46
50.7, 42
20.3, 30
62.0, 29
28.0, 28
59.4, 20
43.1, 12
62.1, 12

Structure:
```
Mg2Tl3Pb3
1.0
8.733 0.000 0.000
-4.367 7.563 0.000
0.000 0.000 3.517
Mg Tl Pb
2 3 3
Direct
0.333 0.667 0.000
0.667 0.333 0.000
0.000 0.233 0.000
0.233 0.000 0.000
0.767 0.767 0.000
0.000 0.587 0.500
0.413 0.413 0.500
0.587 0.000 0.500
```

* * * * *

# 1
Simulated XRD peak list of Mg6TiZn for Cu Kα, 1.54184 Å, from a DFT-relaxed cell (GGA-PBE, the Materials Project).
Peak positions follow from Bragg's law for the DFT cell and can differ from measured ones.

Principal peaks in the range 10° ≤ 2θ ≤ 90°, low angle first:
Position (°2θ)  I/Imax  h k l
16.36  28  0 1 1
24.52  9  1 0 2
33.07  26  0 2 2
36.77  25  2 0 0
37.97  100  1 0 4
50.28  15  2 2 2
59.06  16  0 4 0
67.01  17  3 0 4
71.63  18  2 4 0
72.43  10  1 4 4

Structure:
Cell: 4.889 6.251 10.845 Å, 90.00 90.00 90.00°
Space group Amm2 (No. 38)
Unique sites:
Mg 0.000 0.000 0.000 (multiplicity 2)
Mg 0.000 0.242 0.751 (multiplicity 4)
Mg 0.500 0.000 0.167 (multiplicity 2)
Mg 0.500 0.243 0.421 (multiplicity 4)
Ti 0.000 0.000 0.508 (multiplicity 2)
Zn 0.500 0.000 0.654 (multiplicity 2)

---

# 2
*/
May 28 - Belgium surrenders to Germany.
June 4 - British army evacuates its forces from Dunkirk, France.
June 22 - France surrenders to Germany.
July 19 - German Jews denied telephones.
July - Systematic killing of German Jewish hospital patients begins in Brandenburg where mentally ill and infirm Jews are first victims of murder by gassing.
September 27 - Formation of Berlin-Rome-Tokyo Axis.
October 3 - Anti-Jewish laws passed by Vichy government in France.
October 12 - Warsaw ghetto established.
November 15 - Warsaw ghetto sealed.
November - Hungary, Romania, and Czechoslovakia join the Berlin - Rome - Tokyo Axis.
  March 3-20 - Krakow ghetto established and sealed.
March 22 - Nazis prohibit Gypsy and Afro-German children from attending German schools.
March 24 - Germany invades North Africa.
April 6 - In alliance with Italy and Bulgaria, Germany invades Yugoslavia and Greece.
April 24 - Lublin ghetto sealed.
June 22 - Germany invades Soviet Union.
June 23 - Nazi mobile killing squads begin the murder of millions of Jews, Gypsies and Communist leaders in the Soviet Union: first use of mass graves.
July 8 - Jews in Nazi-occupied Baltic states required to wear Jewish star.
July 20 - Minsk ghetto established.
July 31 - Hermann Goering appoints Reinhard Heydrich to carry out "The Final Solution" (the extermination of all the Jews of Europe); Bialystok ghetto established.
September 1 - Massive protest by German citizens brings end to "Euthanasia program" in Germany (70,000 - 93,000 victims).
September 3-6 - Two ghettos established in Vilna, Lithuania.
September 15 - Decree requires Jews throughout "Greater Reich" to wear a yellow badge with Jewish star and inscription "Jude" (Jew) above their hearts.
September 23 - First experimental gassing of Soviet prisoners of war at Auschwitz.
September 29-30 - 33,771 Kiev Jews murdered at Babi Yar.
October - Construction of extermination camps at Majdanek-Lublin and at Birkenau (Auschwitz II).
October 1 - Jews forbidden to emigrate from Germany.
October 10 - Theresienstadt (Terezin) ghetto established in Czechoslovakia.
October 14 - Beginning of general deportation of all remaining Jews in Germany and Austria, initially to Lodz ghetto; Germans reach outskirts of Moscow.
October 31 - Employers prohibited from giving Jews benefits beyond base wages.
November 1 - Construction of Belzec extermination camp.
November 6-7 - In Rovno, Ukraine, 17,000 Jews executed.
November 5-9 - 5,000 Gypsies deported from Austrian camps to Lodz ghetto; massacre in Odessa: 34,000 killed.
December 7 - Japan bombs Pearl Harbor: 2,335 U.S. military personnel and 68 civilians killed.
December 7-9 - United States enters World War II; massacre in Riga, Latvia: 25,000 dead; gassing operations begin at Chelmno, Ukraine.
December 11 - Germany and Italy declare war on the United States.
December 22 - Massacre in Vilna: 32,000 dead.
December 26 - Jews forbidden to use public phones throughout Nazi-occupied lands.
  January - 5,000 Austrian Gypsies in Lodz ghetto deported to Chelmno where they are murdered.
January 5 - German Jews prohibited from subscribing to newspapers and journals.
January 16 - Deportation of Jews from Lodz to Chelmno killing center begins.
January 20 - Wannsee Conference: Nazi coordination of "The Final Solution."
January 21 - Unified resistance forms in Vilna ghetto; Jewish resistance groups expand in number throughout Eastern Europe.
February 8 - First Jews from Salonika, Greece, deported to Auschwitz.
February - Evacuation of Poland's major Jewish ghettos begins, launching systematic deportation and murder of Jews in occupied central Poland.
March 1 - Construction of Sobibor extermination camp.
March 17 - Killings begin at Belzec extermination camp.
March 26 - German Jews required to affix the Star of David to their doors.
March 28 - First Jews from France sent to Auschwitz.
April 17 - German Jews prohibited from using public transportation.
April 29 - Dutch Jews ordered to wear yellow badge.
May - Killing of Jews in Sobibor death camp begins.
May 4-12 - Approximately 10,000 Jews held at Lodz ghetto are deported to Chelmno death camp.
May 27 - Belgian Jews ordered to wear yellow badge.
June 1 - Treblinka death camp opens where in ensuing 13 months over 800,000 Jews are killed.
June 7 - French Jews ordered to wear yellow badge.
June 19 - German Jews' electric appliances, typewriters and bicycles confiscated.
June 30 - All Jewish schools in Germany closed.
Summer - Nazi Aktionen liquidate 5,000 Jews remaining in Rovno.
July 22-September 12 - Mass deportations from Warsaw ghetto; Treblinka extermination camp completed; 300,000 Jews deported to Treblinka.
July 28 - Jewish resistance organization forms in Warsaw ghetto.
August 13-20 - Majority of Croatian Jews sent to Auschwitz.
September 5-12 - 15,000 Jews in Lodz ghetto (mostly children under ten, people over sixty-five or too weak or ill to work) deported to Chelmno where 55,000 Jews have already been imprisoned.
September 18 - Jews in Germany can no longer buy meat, wheat products, or milk.
October 9 - Jews in Germany can no longer buy books.
October 16 - More than 1,000 Jews from Rome are sent to Auschwitz.
November 24 - News of the extermination camps and mass killings of European Jews made known in United States by Rabbi Stephen S. Wise.
December 1 - Special internment camp for non-Jewish Polish youth opens in Lodz.
  January 18-22 - First Warsaw ghetto uprising.
February 2 - Soviet army defeats Nazis at Battle of Stalingrad; turning point in World War II.
February 26 - Transport of Gypsies arrives at newly established Gypsy camp at Auschwitz-Birkenau.
February 27-28 - 15,000 Jewish forced laborers in Berlin arrested and deported to Auschwitz.
March 1 - Nearly 100,000 attend Stop Hitler Rally at Madison Square Garden, New York.
March 7 - Most remaining Gypsies in Germany and Nazi-occupied countries arrested and deported to Auschwitz-Birkenau
April 19-May 16 - Warsaw ghetto uprising; Jews resist Nazi deportation to death camps.
May 16 - Liquidation of Warsaw ghetto by Nazis.
June 11-21 - All Jewish ghettos in Poland and the USSR are liquidated.
July-September - Hundreds of Jewish partisans leave Vilna ghetto for the forest where they continue resistance to the Nazis.
August 2 - Inmate uprising at Treblinka death camp.
August 16 - Revolt in Bialystok ghetto.
September 9 - Allies invade Italy.
September 23 - Liquidation of Vilna ghetto by Nazis.
**Materials data that have nothing to do with the piece**
-- begin --
Computed powder XRD pattern of TmScO3 for Cu Ka, from a PBE-relaxed structure.
Intensities are scaled so that the largest is 1000.

Peak list (10 most intense, 2θ from 5° to 70°, sorted by position)
- 2θ = 22.35°, intensity 245
- 2θ = 22.69°, intensity 350
- 2θ = 25.34°, intensity 211
- 2θ = 31.39°, intensity 171
- 2θ = 32.06°, intensity 1000
- 2θ = 33.20°, intensity 212
- 2θ = 46.34°, intensity 154
- 2θ = 47.81°, intensity 146
- 2θ = 52.34°, intensity 201
- 2θ = 58.60°, intensity 266

Cell and atoms:
```
TmScO3
1.0
5.6991 0.0000 0.0000
0.0000 7.9542 0.0000
0.0000 0.0000 5.3973
Tm Sc O
4 4 12
Cartesian
0.3592 1.9885 0.1174
2.4904 5.9656 2.8161
3.2087 1.9885 2.5812
5.3399 5.9656 5.2798
0.0000 0.0000 2.6986
0.0000 3.9771 2.6986
2.8496 0.0000 0.0000
2.8496 3.9771 0.0000
0.3635 5.9656 1.9528
1.0971 4.5537 4.3736
1.0971 7.3776 4.3736
1.7524 0.5766 1.6750
1.7524 3.4005 1.6750
2.4860 1.9885 4.6514
3.2131 5.9656 0.7458
3.9467 4.5537 3.7223
3.9467 7.3776 3.7223
4.6020 0.5766 1.0237
4.6020 3.4005 1.0237
5.3356 1.9885 3.4445
```

Computed powder XRD pattern of TmSc3O for Cu Ka, from a PBE-relaxed structure.
Intensities are scaled so that the largest is 1000.

Peak list (10 most intense, 2θ from 5° to 70°, sorted by position)
- 2θ = 20.06°, intensity 323
- 2θ = 21.73°, intensity 437
- 2θ = 22.62°, intensity 336
- 2θ = 26.40°, intensity 187
- 2θ = 31.00°, intensity 266
- 2θ = 34.37°, intensity 359
- 2θ = 34.59°, intensity 651
- 2θ = 35.56°, intensity 1000
- 2θ = 46.95°, intensity 238
- 2θ = 62.33°, intensity 183

Cell and atoms:
```
TmSc3O
1.0
5.9774 0.0000 0.0000
0.0000 5.2187 0.0000
-0.0196 0.0000 6.5881
Tm Sc O
2 6 2
Cartesian
0.9491 0.0000 1.6401
5.0087 2.6093 4.9480
1.0967 0.0671 4.9344
2.1789 2.6253 3.3083
2.1715 2.6220 6.5707
3.7863 0.0127 0.0174
3.7789 0.0160 3.2798
4.8611 2.6764 1.6537
2.9560 3.9201 1.6474
3.0018 1.3107 4.9408
```

Computed powder XRD pattern of TmSc2O4 for Cu Ka, from a PBE-relaxed structure.
Intensities are scaled so that the largest is 1000.

Peak list (10 most intense, 2θ from 5° to 70°, sorted by position)
- 2θ = 17.21°, intensity 253
- 2θ = 19.16°, intensity 615
- 2θ = 31.23°, intensity 1000
- 2θ = 34.59°, intensity 176
- 2θ = 34.77°, intensity 379
- 2θ = 39.93°, intensity 371
- 2θ = 42.84°, intensity 321
- 2θ = 46.58°, intensity 140
- 2θ = 54.08°, intensity 162
- 2θ = 56.19°, intensity 146

Cell and atoms:
```
TmSc2O4
1.0
1.5570 -5.1860 0.0000
1.5570 5.1860 0.0000
0.0000 0.0000 10.3067
Tm Sc O
2 4 8
Cartesian
1.5570 3.9200 7.7300
1.5570 -3.9200 2.5767
1.5570 1.3255 5.8695
1.5570 1.3255 9.5906
1.5570 -1.3255 0.7161
1.5570 -1.3255 4.4373
0.0000 0.0000 0.0000
0.0000 0.0000 5.1534
1.5570 2.3279 1.2068
1.5570 2.3279 3.9465
1.5570 0.3417 7.7300
1.5570 -0.3417 2.5767
1.5570 -2.3279 6.3602
1.5570 -2.3279 9.0999
```

Computed powder XRD pattern of TmScO3 for Cu Ka, from a PBE-relaxed structure.
Intensities are scaled so that the largest is 1000.

Peak list (10 most intense, 2θ from 5° to 70°, sorted by position)
-- stop --
October 2 - Nazis attempt to round up Danish Jews; Danes use boats to smuggle most Danish Jews (7,200) to neutral Sweden.
October 14 - Inmate revolt at Sobibor extermination camp.
October 20 - United Nations War Crimes Commission established.
November 3 - Following uprisings at Sobibor extermination camp and elsewhere, Himmler orders killings of 42,000 Jews in the Lublin area, including 17,000 prisoners at Majdanek.
  March 19 - Nazis occupy Hungary.
April 5 - Nazis order Hungarian Jews to wear yellow badge.
April 7 - Alfred Wetzler and Rudolf Vrba escape from Auschwitz with detailed information about the extermination of the Jews; in June, they bring the news to the world from underground in Czechoslovakia.
May 2 - First transport of Hungarian Jews reaches Auschwitz.
May 6 - A hunger strike by younger workers starts in the Lodz ghetto and spreads for several days.
May 15-June 8 - 476,000 Hungarian Jews deported to their deaths in Auschwitz.
June 4 - Allied Forces reach Rome.
June 6 - D-Day: Allied invasion of Nazi-occupied Western Europe begins in Normandy, France.
June 23 - Soviet Union renews offensive on Eastern front.
July 3-July 14 - 7,196 Jews deported from the Lodz ghetto to Chelmno extermination camp where they are murdered.
July 24 - Advancing Soviet troops liberate Majdanek extermination camp.
August 2-3 - Gypsy camp at Auschwitz liquidated by Nazis; 3,000 Gypsies gassed.
August 3 - U.S. troop ship arrives in New York carrying 1,000 European refugees including 874 Jews; they are sent by train to Oswego, New York where they remain at Fort Ontario until war's end - the only such rescue by the United States.
August 7-30 - Remaining Lodz ghetto Jews deported to Auschwitz-Birkenau as Soviet troops continue advance into Poland.
October - Nazis deport some prisoners westward from Auschwitz to use as forced labor in German camps and factories.
October 7 - Members of the Sonderkommando (camp prisoners forced to burn corpses) blow up a gas chamber and crematoria at Auschwitz-Birkenau extermination camp.
October 23 - Paris liberated by Allied forces.
November 24 - Himmler orders destruction of Auschwitz crematoria as Nazis try to hide evidence of the death camps.

January 17 - Soviet troops liberate Warsaw.
January 17 - Nazis evacuate Auschwitz prisoners; "death marches" to camps in Germany begin.
January 27 - Soviet troops liberate Auschwitz-Birkenau.
February 4-11 - Roosevelt, Churchill and Stalin meet at Yalta Conference in the Crimea.
February 14 - Americans and British bomb Dresden: 80,000 German civilians killed.
March 5 - American troops reach Rhine River.
April 11 - American troops liberate Buchenwald concentration camp.
April 12 - President Roosevelt dies.
April 15 - British troops liberate Bergen-Belsen concentration camp; some inmates had been evacuated from Auschwitz.
April 25 - American and Soviet troops meet at the Elbe River.
April 28 - Mussolini executed by Italian partisans.
April 29 - American troops liberate Dachau concentration camp.
April 29-30 - Allied troops liberate Ravensbruck concentration camp.
April 30 - Hitler commits suicide in Berlin.
May 2 - Soviet troops capture Berlin.
May 3 - Nazi leaders handed over to International Red Cross.
May 5 - American troops liberate Mauthausen concentration camp.
May 7 - Nazi Germany surrenders unconditionally; end of World War II in Europe.
August 6 - The United States drops the first atomic bomb, on Hiroshima: the death toll reaches 92,233 within two weeks; in 40 years the number of victims of the bomb and its aftermath would reach 138,890.
August 8 - The Soviet Union declares war on Japan.
August 9 - The United States drops the second atomic bomb, on Nagasaki: immediate death toll is 40,000; in three months 5,000 more die. In thirty years the Nagasaki atomic bomb death toll would rise to 48,857 victims.
August 14-15 - Japan surrenders unconditionally; end of World War II.
November 22 - First major War Crimes Trials commence; the trials conclude on October 1, 1946: twelve defendants sentenced to death, three to life imprisonment, four to various prison terms, three acquitted.